This repository describes how a RIAPS application developer should setup a RIAPS environment from preloaded disk images: there is one for a development (virtual) machine, and another one for the target nodes. For the former we use a 64-bit x86_64/amd64 system. For the latter, there are several single board computing devices that work with RIAPS (i.e. 32-bit Beaglebone Black 'armhf' system, and 64-bit Raspberry Pi 4 'arm64' system). For advanced programming users wanting to setup a custom environment, there is also information about how these preloaded images were created.
Power application developers can quickly setup a distributed environment by utilizing preloaded RIAPS environment disk images as instructed in this section. In a RIAPS installation there is one development hosts and one or more target nodes, connected via a LAN.
The RIAPS development host environment is based on a virtual machine setup using Ubuntu 22.04. Setting up the RIAPS host development environment (Linux VM) can be found in Host Environment Setup Page.
Here the page breaks off for data records:
+++
Record 1
Entry from the Open Molecules 2025 dataset: C2H2N2O2S in the gas phase at a distorted geometry (wB97M-V/def2-TZVPD).

```
! wB97M-V def2-TZVPD RIJCOSX def2/J DEFGRID3
* xyz 0 1
S 2.725 -0.682 0.017
O 0.111 -1.346 0.004
O -2.167 -1.168 -0.036
N 0.516 0.844 -0.198
N -0.816 0.658 0.182
C 1.137 -0.403 -0.092
C -1.107 -0.670 0.008
H -1.455 1.280 -0.291
H 1.054 1.487 0.405
*
```

Results
Largest force on an atom = 1.779 eV Å⁻¹
Energy above the lowest of the compared OMol25 structures with the same formula, charge and spin = 3.6 kcal/mol
Gap between HOMO and LUMO = 0.3595 Ha
SMILES string = O=c1[nH][nH]c(=S)o1



Record 2
Entry from the Open Molecules 2025 dataset: C2H2N2O2S in the gas phase at a distorted geometry (wB97M-V/def2-TZVPD).

```
! wB97M-V def2-TZVPD RIJCOSX def2/J DEFGRID3
* xyz 0 1
S 0.688 0.461 2.556
O -0.391 -0.111 -2.324
O -1.106 -1.197 -0.432
N 0.364 0.430 -0.176
N -0.797 -1.153 0.967
C 0.063 -0.179 1.040
C -0.366 -0.288 -0.980
H 0.356 0.501 -2.538
H 1.189 1.537 1.887
*
```

Results
Largest force on an atom = 2.372 eV Å⁻¹
Energy above the lowest of the compared OMol25 structures with the same formula, charge and spin = 19.8 kcal/mol
Gap between HOMO and LUMO = 0.3762 Ha
SMILES string = Oc1nc(S)no1



Record 3
Entry from the Open Molecules 2025 dataset: 2 unconnected molecules or ions with the total composition C2H2N2O3 at a distorted geometry (wB97M-V/def2-TZVPD).

```
! wB97M-V def2-TZVPD RIJCOSX def2/J DEFGRID3
* xyz 0 1
O -0.515 2.277 -0.806
O 0.664 0.408 -0.242
O 2.339 -1.532 -0.254
N -0.963 -0.924 0.356
N 0.342 -0.760 0.305
C -0.494 1.161 -0.379
C -1.521 0.233 0.106
H -2.554 0.440 0.308
H 2.702 -1.303 0.606
*
```

Results
Largest force on an atom = 1.074 eV Å⁻¹
Energy above the lowest of the compared OMol25 structures with the same formula, charge and spin = 133.1 kcal/mol
Gap between HOMO and LUMO (spin up / spin down) = 0.3064 / 0.3389 Ha



Record 4
Entry from the Open Molecules 2025 dataset: 2 unconnected molecules or ions with the total composition C2H2N2O4 at a distorted geometry (wB97M-V/def2-TZVPD).

```
! wB97M-V def2-TZVPD RIJCOSX def2/J DEFGRID3
* xyz 0 1
O 1.844 1.201 -0.016
O -1.875 -1.453 -0.719
O 1.197 -0.274 -1.409
O 0.390 -1.598 0.725
N 1.224 0.213 -0.295
N -1.641 -0.317 -0.580
C -1.152 0.635 -0.171
C 0.646 -0.443 0.825
H -1.337 1.637 -0.036
H 0.705 0.398 1.677
*
```

Results
Largest force on an atom = 4.531 eV Å⁻¹
Energy above the lowest of the compared OMol25 structures with the same formula, charge and spin = 148.1 kcal/mol
Gap between HOMO and LUMO = 0.3520 Ha
SMILES string = O=C[N+](=O)[O-].C#[N+][O-]



Record 5
Entry from the Open Molecules 2025 dataset: 2 unconnected molecules or ions with the total composition C2H2N2O4 at a distorted geometry (wB97M-V/def2-TZVPD).

```
! wB97M-V def2-TZVPD RIJCOSX def2/J DEFGRID3
* xyz 0 1
O -2.589 1.705 0.787
O -4.128 -2.377 -0.141
O -2.601 1.086 -1.259
O -0.547 -0.241 0.443
N -2.902 0.954 -0.108
N -3.840 -1.248 -0.058
C -3.781 -0.095 0.219
C 0.006 0.579 1.114
+++
The main RIAPS target node environments used for this project has been TI Beaglebone Black, Raspberry Pi 4 and TI AM64B starter kit. Instructions on how to create a RIAPS Node SD Card Image can be found in RIAPS Node Runtime Setup Page.
Once a RIAPS Host and the desired RIAPS Nodes are setup, a simple application can be used to test the environment. Instructions for these test are found in Environment Test Page. There are also sample application setup in the eclipse tool on the RIAPS Host. Instructions on how to run and import application into the Eclipse environment can be found in RIAPS Eclipse Environment Information Page.
- - -
No. 1
Here is a 11-piece molecular cluster, C8H38N12O12 overall from OMol25. Energies are from the ωB97M-V functional and the def2-TZVPD basis.

Structure (XYZ):
```
70
Properties=species:S:1:pos:R:3:mulliken_charge:R:1
O 7.2282 -13.9786 -4.1668 -0.65
O 4.7653 -18.6300 -2.4055 -0.67
O 1.9218 -26.5000 -7.2353 -0.63
O 11.3463 -21.7835 -2.6269 -0.58
O -0.5304 -17.5340 2.7536 -0.51
O -0.9563 -14.6627 -4.0018 -0.66
O 1.0422 -25.0142 -2.5437 -0.64
O -2.4232 -22.7226 -7.6556 -0.68
O 7.8856 -24.1609 3.3849 -0.65
O 8.2858 -17.7031 -7.8476 -0.72
O -1.5917 -19.6549 4.3791 -0.50
O -4.6855 -18.9749 -1.7460 -0.63
N 6.0632 -17.5794 -8.5467 -0.35
N 4.5080 -20.7731 -2.8764 -0.41
N 7.3048 -24.2836 1.2531 -0.38
N 11.5855 -19.5783 -2.2461 -0.37
N -0.8169 -12.5184 -4.7026 -0.36
N 12.4105 -20.9682 -0.9244 -0.43
N 7.3055 -19.0767 -9.2691 -0.38
N 2.8836 -19.8500 -1.8100 -0.43
N 0.9913 -13.8328 -4.5993 -0.36
N -3.6948 -22.2115 -5.9113 -0.34
N -1.8290 -21.1208 -6.1472 -0.42
N 7.5261 -22.3216 2.2545 -0.36
C 11.7294 -20.8628 -2.0345 0.62
C -0.3119 -13.7182 -4.4355 0.65
C 7.2146 -18.0800 -8.4893 0.67
C 0.0247 -17.8856 4.0054 -0.49
C -2.6556 -21.9870 -6.6659 0.62
C -0.1846 -19.4182 4.3092 -0.34
C 7.6357 -23.6206 2.3384 0.65
C 4.1015 -19.6695 -2.3098 0.68
H 1.1726 -25.8615 -2.1179 0.32
H 12.0246 -18.9239 -1.6145 0.16
H 10.9819 -19.2565 -2.9893 0.21
H 7.6088 -14.5144 -4.8627 0.33
H 5.3498 -17.9170 -9.1770 0.18
H -1.0387 -16.7307 2.8875 0.30
H 0.3336 -20.0771 3.6126 0.25
H -4.3124 -23.0086 -5.9686 0.22
H 1.0385 -17.4994 3.8996 0.33
H 5.9104 -16.7194 -8.0396 0.23
H 3.9289 -21.5904 -2.7471 0.16
H 0.1246 -24.7998 -2.3756 0.32
H 8.1667 -19.6026 -9.3121 0.22
H 5.2009 -20.6118 -3.5933 0.23
H 7.2674 -23.7598 0.3903 0.17
H 7.7265 -21.6882 3.0152 0.21
H 6.7517 -14.6013 -3.6178 0.32
H 0.4103 -19.6364 5.1961 0.31
H 6.5320 -19.3903 -9.8378 0.14
H 12.4263 -20.1743 -0.3002 0.17
H -0.2129 -11.8817 -5.2025 0.17
H -3.7607 -21.5772 -5.1281 0.13
H -2.1020 -20.4292 -5.4636 0.22
H 1.5197 -14.6739 -4.4165 0.20
H -1.1944 -20.7106 -6.8173 0.25
H 7.3245 -25.2871 1.1403 0.21
H -3.9421 -18.3753 -1.6818 0.32
H 7.2112 -21.9862 1.3554 0.15
H 2.3364 -19.0052 -1.7264 0.24
H -0.3352 -17.3032 4.8536 0.31
H 1.6224 -26.1088 -6.4146 0.32
H 12.6141 -21.9198 -0.6538 0.22
H -5.2725 -18.7058 -1.0394 0.32
H -1.9371 -19.1779 3.6209 0.33
H 2.4016 -20.6932 -2.0872 0.19
H 1.4793 -27.3479 -7.2725 0.32
H -1.7613 -12.2088 -4.5228 0.21
H 1.5673 -13.0799 -4.9478 0.15
```

Values from the calculation:
Net charge ... 0
SMILES ... NC(N)=O.NC(N)=O.NC(N)=O.NC(N)=O.NC(N)=O.NC(N)=O.OCCO.O.O.O.O
ΔE to the lowest compared entry with this formula, charge and spin ... 0.0 kcal/mol
Gap between HOMO and LUMO ... 9.41 eV

No. 2
Here is a 10-piece molecular cluster, C40H62O35P2S overall from OMol25. Energies are from the ωB97M-V functional and the def2-TZVPD basis.

Structure (XYZ):
```
140
Properties=species:S:1:pos:R:3:mulliken_charge:R:1
S 1.4605 3.0729 -2.3913 1.27
P -2.2952 2.4898 -0.4970 -0.33
P 0.6752 2.8444 1.7042 0.13
- - -
The instructions and scripts provided were used to develop the base RIAPS SD Card images. These base images are used when setting up a RIAPS Node. The SD card image includes basic third party packages and configures the environment for the RIAPS platform. The intent is to provide a base image that is only periodically updated and to reduce the time necessary for application developers to create RIAPS nodes. Instructions for creating this image is located in Base RIAPS SD Card Image Creation Page.
Inserted here: records of molecules =
{
  "formula": "C3H4Br2",
  "method": "ωB97M-V with the def2-TZVPD basis set",
  "symbols": ["C", "C", "C", "Br", "Br", "H", "H", "H", "H"],
  "positions_angstrom": [[0.398, 0.064, 0.698], [-0.059, 0.341, -0.734], [1.131, 0.932, -0.165], [1.967, 2.560, 0.011], [3.716, -1.463, 0.005], [-0.104, 0.497, 1.522], [0.953, -0.923, 0.855], [0.277, -0.383, -1.566], [-0.950, 0.941, -0.967]],
  "e_above_lowest_kcal_mol": 81.7,
  "gap_ha": [0.184, 0.184],
  "max_force_ev_per_a": 3.1,
  "e_homo_ha": [-0.301, -0.301],
  "multiplicity": 1,
  "total_energy_ha": -5264.5677
}


{"formula": "C2H2Br6", "method": "wB97M-V/def2-TZVPD", "homo_energy_ev": -10.37, "e_tot_ha": -15521.459652, "multiplicity": 1, "total_charge": 0, "e_above_lowest_ev": 0.1873, "orbital_gap_ha": 0.3656, "lumo_energy_ev": -0.4, "fmax_ev_per_a": 0.922, "species": ["C", "Br", "Br", "Br", "H", "C", "Br", "Br", "Br", "H"], "positions_angstrom": [[1.00, -1.81, 2.01], [2.26, -1.48, 3.46], [0.68, -0.21, 0.89], [-0.70, -2.50, 2.70], [1.39, -2.53, 1.31], [-0.95, 1.64, -1.96], [-2.36, 1.36, -3.29], [-0.82, 3.55, -1.52], [0.72, 0.86, -2.56], [-1.23, 1.13, -1.05]]}

{"formula": "C2H2Br6", "method": "wB97M-V/def2-TZVPD", "homo_energy_ev": -10.33, "e_tot_ha": -15521.447276, "multiplicity": 1, "total_charge": 0, "e_above_lowest_ev": 0.5241, "orbital_gap_ha": 0.3589, "lumo_energy_ev": -0.6, "fmax_ev_per_a": 1.703, "species": ["C", "Br", "Br", "Br", "H", "C", "Br", "Br", "Br", "H"], "positions_angstrom": [[5.94, 6.84, -21.21], [5.10, 5.40, -20.13], [5.13, 8.62, -20.86], [5.92, 6.71, -23.16], [6.98, 6.93, -20.92], [3.28, 14.00, -18.39], [2.46, 14.62, -20.08], [2.37, 14.62, -16.79], [5.30, 14.22, -18.37], [3.17, 12.92, -18.47]]}

{"formula": "C2H2BrCl2NO", "method": "wB97M-V/def2-TZVPD", "homo_energy_ev": -9.54, "e_tot_ha": -3701.655450, "multiplicity": 1, "total_charge": 0, "e_above_lowest_ev": 3.7340, "orbital_gap_ha": 0.3119, "lumo_energy_ev": -1.1, "fmax_ev_per_a": 2.539, "species": ["C", "C", "N", "O", "Cl", "Cl", "Br", "H", "H"], "positions_angstrom": [[-0.49, 0.78, 0.38], [-0.41, -0.88, -3.00], [0.02, 1.44, -0.61], [-0.85, -0.50, 0.31], [-1.97, -0.61, -3.43], [0.75, -0.33, -4.10], [0.35, 3.21, -0.08], [-0.68, 1.01, 1.47], [-0.38, -1.01, -0.43]]}

{"formula": "C2H2BrClF2", "method": "wB97M-V/def2-TZVPD", "homo_energy_ev": [-8.62, -8.73], "e_tot_ha": -3311.199764, "multiplicity": 1, "total_charge": 0, "e_above_lowest_ev": 3.2152, "orbital_gap_ha": [0.3176, 0.3199], "lumo_energy_ev": [0.0, 0.0], "fmax_ev_per_a": 4.984, "species": ["C", "C", "F", "F", "Cl", "Br", "H", "H"], "positions_angstrom": [[0.79, -0.98, -0.16], [-0.60, 1.11, 0.09], [1.45, -1.01, 1.04], [-0.50, 2.02, -0.87], [-0.28, -2.24, -0.52], [-2.17, 0.20, 0.25], [1.43, -0.72, -0.87], [-0.12, 1.62, 1.04]]}
Back to the page =
The instructions and scripts provided were used to develop the preloaded RIAPS virtual machine (.vmdk). These files are used when setting up a RIAPS host environment on a computing device. The virtual machine includes basic third party packages and configures the environment for the RIAPS platform. The intent is to provide quick way for application developers to create RIAPS host environment. Instructions for creating this virtual machine is located in Preloaded RIAPS Virtual Machine Creation Page.